The Christian Work Ethic: Are You a Worker-for-Hire or Are You Working the Family Farm?

The article is interrupted by crystal structures:
____________
DFT (PBE) results for a relaxed Nd6Y5 crystal.

Cell lengths 10.369, 8.537, 6.149 Å; angles 73.29, 61.73, 52.61 degrees
Fractional coordinates of all 11 atoms:
Nd 0.820 0.000 0.578
Nd 0.180 0.000 0.422
Nd 0.322 0.725 0.896
Nd 0.953 0.725 0.104
Nd 0.678 0.275 0.104
Nd 0.047 0.275 0.896
Y 0.500 0.000 0.500
Y 0.368 0.263 0.000
Y 0.632 0.737 0.000
Y 0.232 0.535 0.500
Y 0.768 0.465 0.500

DFT (PBE) results for a relaxed NdY6 crystal.

Cell lengths 6.960, 6.960, 6.960 Å; angles 109.47, 109.47, 109.47 degrees
Fractional coordinates of all 7 atoms:
Nd 0.000 0.000 0.000
Y 0.250 0.750 0.500
Y 0.500 0.750 0.250
Y 0.250 0.500 0.750
Y 0.750 0.250 0.500
Y 0.500 0.250 0.750
Y 0.750 0.500 0.250

DFT (PBE) results for a relaxed Nd6Y7 crystal.

Cell lengths 6.745, 6.745, 12.351 Å; angles 74.15, 74.15, 60.00 degrees
Last column: magnetic moment on the atom in μB.
Fractional coordinates of all 13 atoms:
Nd 0.952 0.952 0.143  0.39
Nd 0.048 0.048 0.857  0.39
Nd 0.849 0.849 0.452  0.43
Nd 0.151 0.151 0.548  0.43
Nd 0.666 0.666 0.001  0.34
Nd 0.334 0.334 0.999  0.34
Y 0.412 0.916 0.261  0.26
Y 0.412 0.412 0.261  0.26
Y 0.916 0.412 0.261  0.26
Y 0.588 0.084 0.739  0.26
Y 0.084 0.588 0.739  0.26
Y 0.588 0.588 0.739  0.26
Y 0.500 0.500 0.500  0.36

DFT (PBE) results for a relaxed Nd8Y3 crystal.

Relative energy among the computed polymorphs: 0.0 meV/atom

Cell lengths 5.155, 6.327, 13.196 Å; angles 103.86, 90.00, 114.04 degrees
Fractional coordinates of all 11 atoms:
Nd 0.728 0.455 0.091
Nd 0.272 0.545 0.909
Nd 0.546 0.092 0.818
Nd 0.454 0.908 0.182
Nd 0.819 0.638 0.727
Nd 0.181 0.362 0.273
Nd 0.636 0.273 0.454
Nd 0.364 0.727 0.546
Y 0.000 0.000 0.000
Y 0.909 0.818 0.365
Y 0.091 0.182 0.635

DFT (PBE) results for a relaxed Nd5Y3 crystal.

Relative energy among the computed polymorphs: 0.0 meV/atom

Cell lengths 3.647, 3.647, 20.560 Å; angles 90.00, 90.00, 90.00 degrees
Fractional coordinates of all 8 atoms:
Nd 0.000 0.000 0.249
Nd 0.500 0.500 0.625
Nd 0.500 0.500 0.375
Nd 0.000 0.000 0.751
Nd 0.000 0.000 0.000
Y 0.500 0.500 0.124
Y 0.500 0.500 0.876
Y 0.000 0.000 0.500

DFT (PBE) results for a relaxed Nd3Y4 crystal.

Relative energy among the computed polymorphs: 5.9 meV/atom

Cell lengths 3.527, 8.853, 9.269 Å; angles 122.71, 100.97, 90.00 degrees
Fractional coordinates of all 7 atoms:
Nd 0.000 0.000 0.000
Nd 0.222 0.295 0.443
Nd 0.778 0.705 0.557
Y 0.078 0.456 0.155
Y 0.922 0.544 0.845
Y 0.364 0.138 0.728
Y 0.636 0.862 0.272

DFT (PBE) results for a relaxed Nd13Y2 crystal.

Relative energy among the computed polymorphs: 0.0 meV/atom

Cell lengths 7.236, 7.236, 12.554 Å; angles 73.25, 73.25, 60.00 degrees
Fractional coordinates of all 15 atoms:
Nd 0.500 0.500 0.500
Nd 0.707 0.211 0.871
Nd 0.211 0.211 0.871
Nd 0.211 0.707 0.871
Nd 0.789 0.293 0.129
Nd 0.293 0.789 0.129
Nd 0.789 0.789 0.129
Nd 0.542 0.046 0.365
Nd 0.046 0.046 0.365
Nd 0.046 0.542 0.365
Nd 0.954 0.458 0.635
Nd 0.458 0.954 0.635
Nd 0.954 0.954 0.635
Y 0.294 0.294 0.118
Y 0.706 0.706 0.882
____________
My great grandfather moved his family from northern Georgia across the Chattahoochee River into southeastern Alabama and purchased a sizable piece of land they called a plantation. My grandfather had 13 children who worked the land until he retired. My father and one brother and sister bought portions of the land for themselves.
I grew up helping dad work our family farm. By the time I came into the family, it was mostly just dad and me working along with the tenant family that lived on the land. Though it was a relatively small farm, my mother would sometimes refer to it as part of the plantation. When asked where some of us might be, she would say, “I don’t know exactly; somewhere on the plantation.”
The children of the tenant family were my playmates and my working partners. We all did pretty much the same work, but the perspective was different. They were working on the plantation. I was working on the family farm.
Just a Job
The gospel not only transforms our inner lives, it affects our work ethic. We are heirs to his mission and adopted sons working on his family farm. Plantation ethic is mostly about working for hire. You do your job to be paid. You instinctively know that doing a good job brings job security and maybe better pay. But, there is no sense of ownership nor future dreams for development.
Sadly, many Christians have never made the transition. Believing that spirituality and work are in different categories, they spend most of their time involved with secular work, and less time with the spiritual business of worship, discipleship, and church activity. This duality is a great thief of joy. Work is seen as a necessity but not a vital part of being God’s people on earth.
It is easy to see how people adopt different value systems for the business sphere since, in their minds it is not a part of the spiritual life. It also might answer why some feel so demeaned or even dirty because they are forced to do secular work. If work is dirty, then the pay must be dirty, so even the management of finances is extra-Christian activity. When wealth is the goal, materialism is the god.
People who work for money have made themselves slaves to it. It tells them which job, how to advance and how to measure their worth. No wonder these believers feel shame when they come to church to worship the God of everything. They somehow must know that God has a competitor in their lives.
These crystal structures were left in the piece by mistake:
********
No. 1
Compound: Sm3SOF5
Source: the Alexandria database
Functional: SCAN
Structure: PBEsol geometry

Geometry as POSCAR:
```
Sm3SOF5
1.0
-0.8742 -3.5194 0.8612
7.9885 -2.9844 -4.0875
0.0169 2.2550 9.2330
Sm S O F
6 2 2 10
Cartesian
3.3250 -0.9434 -0.4803 Sm
6.9457 -1.9772 -1.0300 Sm
5.6141 -0.7740 2.5359 Sm
4.3339 -1.5168 6.2663 Sm
0.5509 -0.5148 6.5209 Sm
1.9306 -1.7309 2.9517 Sm
2.6437 0.5217 4.8157 S
4.9446 -3.0053 0.8029 S
3.4911 -0.4286 1.7923 O
4.9241 -1.7214 -2.0364 O
1.2719 1.5123 7.4716 F
0.9128 0.2787 2.0656 F
5.8074 -0.2724 4.7821 F
6.4027 -4.0453 -1.9671 F
6.5897 -2.7671 3.4462 F
1.7329 -2.2349 0.6914 F
7.6159 -1.5671 1.3267 F
4.1189 -2.0457 3.8863 F
2.5899 -0.7384 7.6771 F
-0.0625 -0.9202 4.2414 F
```

---

No. 2
Compound: SrSO2F
Source: the Alexandria database
Functional: SCAN
Structure: PBEsol geometry

Geometry as POSCAR:
```
SrSO2F
1.0
4.5669 0.0000 0.0000
0.0000 4.7682 0.0000
0.0000 0.0000 4.7682
Sr S O F
1 1 2 1
Cartesian
0.0000 0.0000 0.0000 Sr
2.2835 2.3841 2.3841 S
0.0000 0.0000 2.3841 O
0.0000 2.3841 0.0000 O
2.2835 0.0000 0.0000 F
```

---

No. 3
Compound: TcSO6F
Source: the Alexandria database
Functional: SCAN
Structure: PBEsol geometry

Geometry as POSCAR:
```
TcSO6F
1.0
-5.3281 2.3038 -4.1809
-5.0420 0.4331 6.6641
3.3077 8.1689 1.9716
Tc S O F
4 4 24 4
Cartesian
-6.7649 3.2521 1.5146 Tc
-6.1053 7.4220 3.8146 Tc
-0.2975 7.6538 2.9402 Tc
-0.9570 3.4839 0.6402 Tc
-4.0539 6.9484 -1.2311 S
-3.0085 3.9575 5.6858 S
-6.0331 2.8919 -1.7867 S
-1.0292 8.0140 6.2415 S
-5.1312 7.9875 5.0467 O
-0.5085 1.3908 1.1971 O
-6.4669 5.8364 4.2285 O
-2.5529 5.0272 6.5546 O
-6.5539 9.5151 3.2577 O
-4.5095 5.8786 -2.0998 O
-1.9312 2.9184 -0.5919 O
-3.8045 1.1186 1.2960 O
-0.5955 5.0695 0.2263 O
-3.2579 9.7873 3.1588 O
-3.7508 10.0400 0.0690 O
-1.9537 3.6029 1.9753 O
-5.1087 7.3030 2.4795 O
-2.8438 7.6312 -1.6627 O
-7.7807 3.3060 2.8394 O
-4.2186 3.2747 6.1174 O
-5.2803 3.7738 2.0720 O
-3.3116 0.8659 4.3857 O
-7.2916 5.3519 1.0611 O
-6.0734 3.6821 -0.5658 O
-1.7821 7.1321 2.3828 O
0.7183 7.5999 1.6154 O
0.2293 5.5540 3.3937 O
-0.9890 7.2238 5.0205 O
-2.3420 8.8422 6.1358 F
-3.6446 6.1978 0.0688 F
-3.4178 4.7081 4.3860 F
-4.7204 2.0636 -1.6811 F
```

---

No. 4
Compound: TeSOF2
Source: the Alexandria database
Functional: SCAN
Structure: PBEsol geometry

Geometry as POSCAR:
```
TeSOF2
1.0
3.3171 0.0000 0.0000
0.0000 4.7568 0.0000
0.0000 0.0000 4.7568
S Te O F
1 1 1 2
Cartesian
0.0000 0.0000 0.0000 S
1.6585 2.3784 2.3784 Te
1.6585 0.0000 0.0000 O
0.0000 0.0000 2.3784 F
0.0000 2.3784 0.0000 F
```

---

No. 5
Compound: TiSOF2
Source: the Alexandria database
Functional: SCAN
Structure: PBEsol geometry

Geometry as POSCAR:
```
TiSOF2
1.0
3.4025 0.0000 0.0000
0.0000 4.5509 0.0000
0.0000 0.0000 4.5509
S F O Ti
1 2 1 1
Cartesian
0.0000 0.0000 0.0000 S
0.0000 0.0000 2.2755 F
0.0000 2.2755 0.0000 F
1.7013 0.0000 0.0000 O
1.7013 2.2755 2.2755 Ti
```

---

No. 6
Compound: YSOF2
Source: the Alexandria database
Functional: SCAN
Structure: PBEsol geometry
********
Here the piece continues:
Working in the Family Business
Working in the family business is much different. You get to be with the father and the other heirs as you work. You have a sense of sharing in ownership. You have a common vision and hope for development. Excellence is not based on pay but on appreciation and hope. You are expressing yourself and fulfilling your design to subdue the earth as God’s partner.
Knowing that the pay-master is also your father, you are confident that he will be more than fair. You are free to be creative in finding ways to help others and make the place better. Working with God as Father, we know that every assignment is backed by unlimited resources. He supplies everything we need to accomplish what he has commissioned us to do.
We are also delighted to be working on a project that is guaranteed to succeed. We don’t have to compete for reward or recognition. We are working with God as a partner and the prospects are beyond comprehension.
All Work Spiritual and Eternal
Attached: crystal structures:
=====
5
Lattice="4.022 0.000 0.000 0.000 6.096 0.000 0.000 0.000 4.022" Properties=species:S:1:pos:R:3 comment="SrSi2CCl PBE optimized geometry" vol_a3_per_cell=99 spacegroup=P4/mmm crystal_system=tetragonal density_g_cm3=3.22 pbc="T T T"
Sr 0.000 3.048 0.000
Si 0.000 0.000 2.011
Si 2.011 0.000 0.000
C 0.000 0.000 0.000
Cl 2.011 3.048 2.011



5
Lattice="4.502 0.000 0.000 0.000 4.502 0.000 0.000 0.000 5.985" Properties=species:S:1:pos:R:3 comment="YSiCCl2 PBE optimized geometry" vol_a3_per_cell=121 spacegroup=P4/mmm crystal_system=tetragonal density_g_cm3=2.74 pbc="T T T"
Y 0.000 0.000 2.992
Si 0.000 0.000 0.000
C 2.251 2.251 2.992
Cl 0.000 2.251 0.000
Cl 2.251 0.000 0.000



5
Lattice="-5.211 -1.676 -1.768 -0.873 -0.614 3.154 -1.913 5.399 0.522" Properties=species:S:1:pos:R:3 comment="ZnSiCCl2 PBE optimized geometry" vol_a3_per_cell=110 spacegroup=P4/mmm crystal_system=tetragonal density_g_cm3=2.66 pbc="T T T"
C 0.000 0.000 0.000
Zn -3.998 1.555 0.954
Si -0.436 -0.307 1.577
Cl -0.957 2.699 0.261
Cl -2.605 -0.838 -0.884



20
Lattice="-7.310 2.858 -3.938 1.604 -8.103 -2.982 -1.713 -0.644 8.589" Properties=species:S:1:pos:R:3 comment="Sm7CCl12 PBE optimized geometry" vol_a3_per_cell=557 spacegroup=R-3 crystal_system=trigonal density_g_cm3=4.44 pbc="T T T"
Sm -7.516 -3.366 1.799
Sm -2.171 0.004 -1.294
Sm -1.275 -0.141 2.178
Sm -3.710 -2.944 0.835
Sm -6.144 -5.748 -0.509
Sm -5.248 -5.893 2.963
Sm 0.096 -2.523 -0.130
C 0.000 0.000 0.000
Cl -7.569 -0.394 2.106
Cl -4.803 0.103 -2.705
Cl -3.832 -0.182 0.987
Cl -6.084 -2.922 -0.591
Cl -2.689 -0.436 4.794
Cl -5.092 -3.088 3.230
Cl -2.327 -2.800 -1.561
Cl -4.731 -5.453 -3.125
Cl -1.336 -2.967 2.260
Cl -3.587 -5.707 0.682
Cl -2.616 -5.991 4.375
Cl 0.149 -5.494 -0.436



Sequential VASP energy output: -4.658, -4.118, -3.030, -5.135 eV/atom

----------

[1]
# YHf3Br

Crystalline YHf3Br at its relaxed geometry (PBE, the Alexandria database).

As for the uncorrected formation energy: 163 kJ/mol of formula units. The calculation puts the total energy at -7.26 eV/atom.

The structure belongs to space group Pm-3m (No. 221); the cell edges are 5.0161, 5.0161 and 5.0161 Å and the angles 90.00°, 90.00° and 90.00°. The inequivalent atoms are Y at (0.0000, 0.0000, 0.0000), Hf at (0.0000, 0.5000, 0.5000) and Br at (0.5000, 0.5000, 0.5000).

[2]
# YHf2Br

Crystalline YHf2Br at its relaxed geometry (PBE, the Alexandria database).

As for the uncorrected formation energy: 85 kJ/mol of formula units. The calculation puts the total energy at -6.79 eV/atom.

The structure belongs to space group I-42d (No. 122); the cell edges are 4.1091, 4.1091 and 24.0195 Å and the angles 90.00°, 90.00° and 90.00°. The inequivalent atoms are Y at (0.0000, 0.0000, 0.0000), Hf at (0.2461, 0.2500, 0.1250) and Br at (0.0000, 0.0000, 0.5000).

[3]
# Y3HfBr

Crystalline Y3HfBr at its relaxed geometry (PBE, the Alexandria database).
=====
Here the text continues:
The reconciliation and restoration accomplished by the gospel has made all our work spiritual and eternal in its worth. Everything we do is a good work if we do it as sons/daughters for the sake of the mission and to the glory of our Father.
Missionaries are not superior in their work if each of us is doing what we are assigned. Working on the staff of a religious organization is not better work than working on the staff of a plumber. We are each representing the mission of our Father to do good to all people and leaving the world a better place by reflecting the glory of God in every work of our hands.
Work is a privilege and God’s way of sharing his nature and purpose with us. He still works and invites us to work as his sons/partners.
Plantation or family business? Your choice.
Dudley Hall is a Senior Contributor to The Stream. He is the founder and President of Kerygma Ventures, a sought-after speaker, an engaging preacher, an effective consultant, and a trusted spiritual father. Dudley has authored several books including Grace Works, Incense & Thunder, Glad to be Left Behind, Men In Their Own Skin, Orphans No More, When Hard Times Come, Follow Me and his latest, a children’s book laced with gospel truth: Shorty the Substitute Ram.